If you have a creative mind and a knack for designing, starting your own phone case business could be the right move for you. But you’ll need to find the right manufacturer if you want to maximize your profit.

For starters, do some basic keyword research in Google’s Keyword Planner or KWFinder to see if there is a demand for cases for specific phone types. This can help you identify a niche and boost your sales in the short term.

Know Your Requirements

You need to know your requirements if you want to find a phone case manufacturer that will suit your needs. For example, you might want to find a manufacturer that offers an extensive warranty or a good selection of designs for the phones you’re targeting.

A good manufacturer can help you protect your investment and add extra value to your device. They might also be able to make you a custom design that fits your tastes and style.

It’s also important to find a manufacturer that understands how to build a brand. Strong branding leads to sales and new customers. It also helps customers understand the quality of the products they’re buying.

Search the Web

The web offers a wealth of information on phone case manufacturers. This includes their products, pricing, and manufacturing processes. You can also find helpful customer reviews that will help you make a more informed decision.

Once you have a list of potential manufacturers, you can start contacting them directly. This may be done through email, Skype or other means.

(Next to the entry, the page also holds records of crystals)
=====
(1)
A plane-wave DFT calculation with GGA-PBEsol was carried out for a geometry-optimized TlAu5 structure.

## Properties
Total magnetic moment: 0.00 μB per formula unit
Relative energy among the computed polymorphs: 0.21 eV per formula unit
Formation enthalpy at 0 K: 9 kJ/mol of atoms
DOS at the Fermi energy: 1.410 states/eV/f.u.

Cell lengths 5.4711, 5.4711, 5.4711 Å; angles 60.00, 60.00, 60.00 degrees
Last column: nearest neighbours and their distance in Å.
Fractional coordinates of all 6 atoms:
Tl: 0.0000 0.0000 0.0000  16 Au 3.21-3.35
Au: 0.1260 0.6247 0.6247  6 Au 2.73-2.74
Au: 0.2500 0.2500 0.2500  12 Au 3.21, 4 Tl 3.35
Au: 0.6247 0.1260 0.6247  6 Au 2.73-2.74
Au: 0.6247 0.6247 0.1260  6 Au 2.73-2.74
Au: 0.6247 0.6247 0.6247  6 Au 2.73-2.74

---

(2)
A plane-wave DFT calculation with GGA-PBEsol was carried out for a geometry-optimized Tl3Au structure.

## Properties
Total magnetic moment: 0.00 μB per formula unit
Relative energy among the computed polymorphs: 0.00 eV per formula unit
Formation enthalpy at 0 K: 0 kJ/mol of atoms
DOS at the Fermi energy: 1.839 states/eV/f.u.

Cell lengths 7.0770, 8.9031, 6.5485 Å; angles 90.00, 90.00, 90.00 degrees
Last column: nearest neighbours and their distance in Å.
Fractional coordinates of all 16 atoms:
Tl: 0.0037 0.2500 0.1040  2 Au 2.91-2.93
Tl: 0.1993 0.0514 0.6617  3 Au 2.89-3.05
Tl: 0.1993 0.4486 0.6617  3 Au 2.89-3.05
Tl: 0.3007 0.5514 0.1617  3 Au 2.89-3.05
Tl: 0.3007 0.9486 0.1617  3 Au 2.89-3.05
Tl: 0.4963 0.7500 0.6040  2 Au 2.91-2.93
Tl: 0.5037 0.2500 0.3960  2 Au 2.91-2.93
Tl: 0.6993 0.0514 0.8383  3 Au 2.89-3.05
Tl: 0.6993 0.4486 0.8383  3 Au 2.89-3.05
Tl: 0.8007 0.5514 0.3383  3 Au 2.89-3.05
Tl: 0.8007 0.9486 0.3383  3 Au 2.89-3.05
Tl: 0.9963 0.7500 0.8960  2 Au 2.91-2.93
Au: 0.1022 0.7500 0.4661  8 Tl 2.89-3.05
Au: 0.3978 0.2500 0.9661  8 Tl 2.89-3.05
Au: 0.6022 0.7500 0.0339  8 Tl 2.89-3.05
Au: 0.8978 0.2500 0.5339  8 Tl 2.89-3.05

---

(3)
A plane-wave DFT calculation with GGA-PBEsol was carried out for a geometry-optimized Tl3Au structure.

## Properties
Total magnetic moment: 0.00 μB per formula unit
Relative energy among the computed polymorphs: 0.06 eV per formula unit
Formation enthalpy at 0 K: 1 kJ/mol of atoms
DOS at the Fermi energy: 1.828 states/eV/f.u.

Cell lengths 3.4801, 3.4801, 8.3449 Å; angles 90.00, 90.00, 90.00 degrees
Last column: nearest neighbours and their distance in Å.
Fractional coordinates of all 4 atoms:
Tl: 0.0000 0.0000 0.0000  12 Tl 3.45-3.48
Tl: 0.5000 0.5000 0.2895  4 Au 3.02
Tl: 0.5000 0.5000 0.7105  4 Au 3.02
Au: 0.0000 0.0000 0.5000  8 Tl 3.02

---

(4)
A plane-wave DFT calculation with GGA-PBEsol was carried out for a geometry-optimized Tl3Au structure.

## Properties
Total magnetic moment: 0.00 μB per formula unit
Relative energy among the computed polymorphs: 0.28 eV per formula unit
Formation enthalpy at 0 K: 7 kJ/mol of atoms
DOS at the Fermi energy: 1.568 states/eV/f.u.

Cell lengths 6.9939, 6.9939, 9.5645 Å; angles 90.00, 90.00, 120.00 degrees
=====

When selecting a manufacturer, it is important to choose one that can produce quality phone cases. A poor-quality product can prompt a high rate of returns and can damage a retailer’s brand. It can also cause problems for educational institutions that receive poorly-made cases for promotional purposes.

Check Referrals

During the search for a phone case manufacturer, it is important to check referrals and recommendations. This will allow you to find a reliable supplier who can meet your specific requirements.

Often, phone case manufacturers have strong relationships with resellers and consultants in the industry. They may even be willing to share their preferred vendors with you.

Another way to check for referrals is by asking your existing customers about the manufacturers they use. This can give you an idea of who to focus on when creating your own customer referral program.

Once you have an idea of who your ideal client is, it will be easier to identify appropriate times to ask for referrals from them. You can then create a referral form that includes this information.

Create a List of Preferred Suppliers

A preferred supplier list (PSL) is a curated list of vendors that an organization has vetted and approved to provide goods or services. Typically, PSLs include suppliers that meet an organization’s quality and delivery criteria.

A good PSL can help streamline your procurement process, helping you find the best possible value for your money. It also allows you to mitigate risk by identifying your critical suppliers and monitoring their performance closely.

It also improves communication between buyers and suppliers, which can reduce misunderstandings. This can save you a lot of time and money in the long run.

Contact Potential Manufacturers

Once you have a list of potential manufacturers that meet your requirements, it’s time to contact them. Be sure to make a serious effort in your approach and give them enough information about your brand and product spec so that they understand you’re serious about the business. It’s possible that you won’t get a response straight away, so be patient and follow up with them if they don’t respond within a few days. Also, make sure to check references, which can be helpful for verifying a manufacturer’s capabilities. You can also find a broker or third-party expert who will help you identify manufacturers and vet their processes and technical abilities. This can be a great way to speed up the search process and avoid costly mistakes.